Your job: filter the notes further below: keep the lines with the word "intense".

=====
Entry 1:
Diffraction record for BaC2N2O2. The PXRD pattern is theoretical, not measured: it uses a PBE-relaxed structure and Cu Kα, 1.54184 Å.
Neutral-atom scattering factors, no anomalous dispersion.

Atomic structure:
```
42
Lattice="3.591 2.073 13.771 -3.591 2.073 13.771 0.000 -4.146 13.771" Properties=species:S:1:pos:R:3 pbc="T T T"
Ba 0.000 0.000 6.184
Ba 0.000 0.000 10.328
Ba 0.000 0.000 14.472
Ba 0.000 0.000 26.841
Ba 0.000 0.000 30.984
Ba 0.000 0.000 35.128
C 2.729 -1.061 29.121
C -2.729 1.061 12.192
C 0.446 -2.894 12.192
C -2.283 -1.833 29.121
C -0.861 -1.012 19.077
C -1.308 0.240 22.235
C 0.446 -1.252 22.235
C -0.446 1.252 19.077
C 1.308 -0.240 19.077
C 0.861 1.012 22.235
C 2.283 1.833 12.192
C -0.446 2.894 29.121
N -2.694 1.015 15.372
N -2.226 -1.826 25.941
N 0.468 -2.841 15.372
N -1.365 0.247 19.055
N -0.896 -1.059 22.257
N 0.468 -1.306 19.055
N -0.468 1.306 22.257
N 0.896 1.059 19.055
N 1.365 -0.247 22.257
N -0.468 2.841 25.941
N 2.226 1.826 15.372
N 2.694 -1.015 25.941
O -1.904 0.053 12.261
O -1.687 -2.020 19.146
O -2.593 0.451 22.166
O 0.906 -1.675 12.261
O -0.998 -1.623 29.052
O 0.906 -2.471 22.166
O -0.906 2.471 19.146
O 0.998 1.623 12.261
O -0.906 1.675 29.052
O 2.593 -0.451 19.146
O 1.687 2.020 22.166
O 1.904 -0.053 29.052
```

The 6 most intense peaks (2θ = 15–90°), sorted by position:
2theta, I/Imax
24.8, 73
25.9, 100
36.1, 60
38.5, 20
44.3, 35
57.9, 21

***

Entry 2:
Diffraction record for BaC2S2N2O2. The PXRD pattern is theoretical, not measured: it uses a PBE-relaxed structure and Cu Kα, 1.54184 Å.
Neutral-atom scattering factors, no anomalous dispersion.

Atomic structure:
```
18
Lattice="6.600 -2.287 0.000 6.600 2.287 0.000 -1.005 0.000 13.201" Properties=species:S:1:pos:R:3 pbc="T T T"
Ba 1.348 0.000 3.653
Ba 10.847 0.000 9.548
C 4.094 0.000 6.644
C 5.497 0.000 2.096
C 6.698 0.000 11.104
C 8.100 0.000 6.557
S 4.016 0.000 1.449
S 4.277 0.000 5.039
S 7.918 0.000 8.162
S 8.178 0.000 11.752
N 4.030 0.000 7.836
N 5.582 0.000 10.667
N 6.612 0.000 2.534
N 8.165 0.000 5.365
O -0.514 0.000 7.227
O 0.551 0.000 0.285
O 11.644 0.000 12.916
O 12.709 0.000 5.974
```

The 6 most intense peaks (2θ = 15–90°), sorted by position:
2theta, I/Imax
21.5, 71
21.8, 86
29.4, 100
32.0, 63
33.8, 64
39.4, 51

***

Entry 3:
Diffraction record for BaPrC3N6. The PXRD pattern is theoretical, not measured: it uses a PBE-relaxed structure and Cu Kα, 1.54184 Å.
Neutral-atom scattering factors, no anomalous dispersion.

Atomic structure:
```
11
Lattice="5.256 3.035 2.547 -5.256 3.035 2.547 0.000 -6.070 2.547" Properties=species:S:1:pos:R:3 pbc="T T T"
Ba 0.000 0.000 0.000
Pr 0.000 0.000 3.821
C -2.651 -1.478 2.547
C -2.651 1.478 5.095
C 0.046 3.035 2.547
N -1.632 -0.892 2.171
N 1.588 -0.967 2.171
N 0.044 1.859 2.171
N -1.632 0.892 5.471
N 0.044 -1.859 5.471
N 1.588 0.967 5.471
```

The 6 most intense peaks (2θ = 15–90°), sorted by position:
2theta, I/Imax
16.9, 100
25.3, 22
30.5, 35
34.1, 20
35.1, 34
42.9, 23

***

Entry 4:
Diffraction record for Rb2BaPt2C8N8. The PXRD pattern is theoretical, not measured: it uses a PBE-relaxed structure and Cu Kα, 1.54184 Å.
Neutral-atom scattering factors, no anomalous dispersion.

Atomic structure:
```
21
Lattice="7.880 0.000 0.000 0.000 7.880 0.000 0.000 0.000 7.232" Properties=species:S:1:pos:R:3 pbc="T T T"
Rb 0.000 3.940 0.000
Rb 3.940 0.000 0.000
Ba 0.000 0.000 3.616
Pt 3.940 3.940 1.865
Pt 3.940 3.940 5.367
C 2.533 2.533 1.890
C 2.533 2.533 5.343
C 2.533 5.347 1.890
C 2.533 5.347 5.343
C 5.347 2.533 1.890
C 5.347 2.533 5.343
C 5.347 5.347 1.890
C 5.347 5.347 5.343
N 1.703 1.703 1.924
N 1.703 1.703 5.308
N 1.703 6.177 1.924
N 1.703 6.177 5.308
N 6.177 1.703 1.924
N 6.177 1.703 5.308
N 6.177 6.177 1.924
N 6.177 6.177 5.308
```

The 6 most intense peaks (2θ = 15–90°), sorted by position:
2theta, I/Imax
15.9, 84
20.1, 80
22.6, 74
27.1, 100
32.1, 77
35.6, 92

***

Entry 5:
=====

The 6 most intense peaks (2θ = 15–90°), sorted by position:
The 6 most intense peaks (2θ = 15–90°), sorted by position:
The 6 most intense peaks (2θ = 15–90°), sorted by position:
The 6 most intense peaks (2θ = 15–90°), sorted by position: